Government of Gibraltar

10/02/2022 | Press release | Distributed by Public on 10/02/2022 12:23

Chief Minister’s Address at the Gibraltar Reception: Conservative Party Conference Ladies and Gentlemen - 725/2022

What a pleasure it is to welcome you again after so many years of pandemic absence.

I know that Joseph Garcia, the Deputy Chief Minister, and I are amongst friends here tonight.

And I say that, not just because we are accompanied by Foreign Secretary James Cleverly.

James has long been a friend.

Long before he was Minister for Europe.

I say that we are amongst friends also because of all of you are great friends of the Rock.

Not least those of you who are members of our All Party Group.

In fact, I know that in the British Conservative and Unionist Party, support for Gibraltar trickles up as well as down.

And I know that we are two thousand five hundred kilometres away from Gibraltar.

But I also know that I could very easily tonight have started my address by calling you all 'my fellow Gibraltarians'.

For each of you cares deeply about Gibraltar and our prospects for the future.

I know you care as deeply as we do to ensure that every thing we do is designed to keep us entirely, exclusively and enduringly British.

Molecular data from another source follow.
- - -
Density functional theory data (ωB97M-V/def2-TZVPD) for a molecular structure, C24H44CaGeN4O5S2SbSe4.

XYZ file:
```
86
Properties=species:S:1:pos:R:3
Ca -0.163 0.349 0.668
C 0.821 -2.724 -1.334
C 1.830 -1.627 -1.024
C 2.436 -1.860 0.354
C 2.916 -1.592 -2.086
O 1.101 -0.372 -1.006
Ge 1.795 1.337 -1.528
O 2.706 1.288 0.048
C 3.602 2.244 0.612
C 4.414 2.936 -0.480
C 2.829 3.271 1.426
C 4.527 1.452 1.528
O 0.224 2.073 -0.709
C -0.523 3.178 -1.263
C 0.199 4.474 -0.921
C -1.895 3.156 -0.608
C -0.681 3.042 -2.774
H 1.285 -3.707 -1.220
H 0.449 -2.628 -2.357
H -0.027 -2.688 -0.647
H 2.965 -2.815 0.388
H 1.660 -1.919 1.123
H 3.113 -1.047 0.611
H 3.425 -2.559 -2.120
H 3.662 -0.825 -1.868
H 2.489 -1.387 -3.071
H 3.770 3.516 -1.145
H 4.953 2.201 -1.084
H 5.140 3.624 -0.037
H 2.180 3.864 0.783
H 3.516 3.948 1.942
H 2.196 2.777 2.163
H 5.068 0.693 0.956
H 3.934 0.952 2.295
H 5.252 2.108 2.018
H 0.220 4.609 0.161
H -0.313 5.330 -1.370
H 1.224 4.453 -1.303
H -1.820 3.365 0.461
H -2.361 2.180 -0.754
H -2.544 3.916 -1.056
H 0.281 3.053 -3.288
H -1.283 3.873 -3.153
H -1.196 2.110 -3.008
Se -1.657 1.494 6.322
Sb -1.237 1.882 3.976
Se 0.662 0.486 3.267
Se -3.202 1.306 2.483
Se -1.004 4.157 3.180
O -0.163 -6.184 2.516
S 0.409 -4.862 2.496
O 1.786 -4.746 2.088
N -0.517 -3.844 1.607
C -1.070 -2.921 2.348
S -2.099 -1.690 1.770
C -0.713 -3.009 3.810
C -1.091 -2.177 4.847
C -0.579 -2.434 6.111
C 0.284 -3.507 6.328
C 0.663 -4.346 5.285
C 0.147 -4.060 4.036
H -1.743 -1.330 4.681
H -0.842 -1.760 6.916
H 0.677 -3.681 7.323
H 1.341 -5.174 5.441
C -4.782 0.437 -3.057
N -3.929 -0.390 -2.225
C -4.290 -0.359 -0.816
C -2.571 -0.427 -2.507
N -1.702 -0.236 -1.590
N -2.278 -0.660 -3.860
C -0.890 -0.567 -4.263
C -2.977 -1.751 -4.518
H -4.875 1.449 -2.642
H -5.784 0.003 -3.113
H -4.376 0.516 -4.062
H -5.328 -0.685 -0.718
H -4.194 0.646 -0.390
H -3.650 -1.030 -0.251
H -0.758 -0.439 -1.915
H -0.431 0.340 -3.875
H -0.846 -0.532 -5.353
H -0.292 -1.423 -3.926
H -3.939 -1.918 -4.041
H -2.400 -2.684 -4.459
H -3.140 -1.517 -5.574
```

DFT total energy: -406357.329 eV
⟨S²⟩: 0.76
energy above the lowest of the compared OMol25 structures with the same formula, charge and spin: 0.0 kcal per mole
spin multiplicity: 2
total charge: -2
molar mass: 1083.1 Da
orbital gap (alpha / beta): 6.029 / 5.569 eV
LUMO energy (alpha / beta): 3.861 / 3.421 eV

=====

Density functional theory data (ωB97M-V/def2-TZVPD) for a molecular structure, C24H44Cl3FeN6O7P.

XYZ file:
```
86
Properties=species:S:1:pos:R:3
Fe -0.191 -0.119 0.455
O -2.042 -1.334 4.914
C -1.559 -0.791 3.788
O -0.423 -0.909 3.421
C -2.616 0.008 3.062
O -2.056 0.650 1.948
C -2.064 2.070 2.040
C -1.112 2.692 1.019
O -1.120 3.912 0.951
O -0.379 1.892 0.344
H -1.362 -1.925 5.274
H -3.044 0.720 3.773
H -3.413 -0.673 2.747
H -1.702 2.360 3.030
H -3.065 2.481 1.889
C 4.182 1.140 3.363
N 2.998 1.829 2.873
C 2.660 3.119 3.460
C 1.136 3.192 3.268
N 0.710 1.799 3.110
C 0.328 1.176 4.380
C 1.832 1.144 2.542
N 1.710 0.135 1.773
C 2.905 -0.425 1.150
- - -

I know that you will work with us to ensure that BREXIT delivers dividends for us in a new UK/EU Treaty on our future relationship with the EU.

And I know that, like every Gibraltarian, you will want to ensure that any such treaty is safe and secure for Gibraltar.

For I also know that we all agree that the future of Gibraltar can only be decided by the Gibraltarians.

And that your commitment to our self-determination is unquestionable.

And that our commitment to Britain is unshakable.

So I want to thank Liz Truss for her work and commitment to Gibraltar as Foreign Secretary.

I know that commitment and readiness to help in the negotiations endures now in her time as Prime Minister.

She has made clear to me directly already that she remains ready to work with me to get this negotiation safely and securely over the line for Gibraltar.

And I want to thank the Conservative governments of Boris Johnson and Liz Truss for their support through COVID also.

In the supply of vacancies, which made us the first territory with full population vaccination.

And the assistance with a Sovereign Guarantee for our long term pandemic debt.

Thanks to Jesse Norman for his support on that when he was Financial Secretary to the Treasury, now Overseas Territories Minister.

No doubt we will work together again in his new guise.

But perhaps more pertinently, I thank Liz Truss for her decision as Prime Minister to bequeath us James Cleverly as the new Foreign Secretary.

James is more than just a great friend of the Rock.

He is now an old hand in these negotiations also.

And having worked with him for some time now since he became Minister for Europe, I can tell you he is exactly the man for the moment given the stage we are at.

And I know that Leo Docherty will be a great addition to Team Gibraltar as we move onto trying to finalise the new treaty in coming weeks.

To be truly in Team GIBRALTAR you have to wear the colours though.

So I have had specifically brought over the colours for James and Leo to wear as we get into the final stages of this negotiation.


It will be lovely to see you wearing these in Gibraltar next year for our National Celebrations.

The entry is interrupted by data records >
........
A single C18H21N3O5 molecule in a non-equilibrium geometry. Source: the Open Molecules 2025 dataset; level of theory: ωB97M-V/def2-TZVPD.

## Properties
Calculated total energy = -33713.2944 eV
HOMO level = -8.69 eV
Strongest force on any atom = 1.1 eV/Å

CARTESIAN COORDINATES (ANGSTROEM)
C (-6.03, 3.33, -0.86)
O (-5.83, 1.96, -1.07)
C (-4.98, 1.29, -0.25)
C (-4.27, 1.86, 0.81)
C (-3.44, 1.07, 1.58)
C (-3.28, -0.28, 1.32)
C (-3.98, -0.85, 0.27)
O (-3.93, -2.18, -0.09)
C (-3.09, -3.03, 0.64)
C (-1.64, -2.72, 0.44)
C (-0.93, -2.33, -0.65)
C (0.40, -2.19, -0.16)
C (1.55, -1.84, -1.04)
O (1.44, -2.02, -2.24)
N (2.68, -1.36, -0.48)
C (2.89, -0.95, 0.89)
C (3.05, 0.57, 0.93)
N (4.14, 0.98, 0.06)
C (5.25, 1.54, 0.59)
C (6.37, 1.89, -0.37)
O (5.34, 1.77, 1.78)
C (3.94, 0.56, -1.31)
C (3.77, -0.97, -1.35)
N (0.44, -2.48, 1.12)
O (-0.81, -2.80, 1.50)
C (-4.82, -0.07, -0.51)
H (-5.11, 3.90, -0.97)
H (-6.74, 3.65, -1.62)
H (-6.46, 3.52, 0.13)
H (-4.37, 2.91, 1.04)
H (-2.90, 1.52, 2.40)
H (-2.63, -0.85, 1.95)
H (-3.32, -3.02, 1.71)
H (-3.30, -4.03, 0.25)
H (-1.27, -2.17, -1.65)
H (2.05, -1.27, 1.50)
H (3.80, -1.42, 1.26)
H (3.30, 0.90, 1.94)
H (2.13, 1.06, 0.61)
H (6.77, 0.99, -0.84)
H (7.16, 2.38, 0.20)
H (6.02, 2.57, -1.14)
H (4.77, 0.85, -1.93)
H (3.03, 1.02, -1.69)
H (3.53, -1.30, -2.36)
H (4.69, -1.46, -1.01)
H (-5.37, -0.51, -1.32)

From a natural (NBO) analysis of the wavefunction, the atomic charges in e read:
1 C -0.252
2 O -0.489
3 C 0.326
4 C -0.335
5 C -0.177
6 C -0.300
7 C 0.310
8 O -0.480
9 C -0.115
10 C 0.285
11 C -0.306
12 C 0.046
13 C 0.651
14 O -0.615
15 N -0.414
16 C -0.243
17 C -0.237
18 N -0.446
19 C 0.687
20 C -0.714
21 O -0.629
22 C -0.220
23 C -0.237
24 N -0.122
25 O -0.261
26 C -0.301
27 H 0.176
28 H 0.201
29 H 0.177
30 H 0.220
31 H 0.215
32 H 0.213
33 H 0.201
34 H 0.224
35 H 0.259
36 H 0.258
37 H 0.199
38 H 0.257
39 H 0.190
40 H 0.224
41 H 0.246
42 H 0.225
43 H 0.220
44 H 0.199
45 H 0.253
46 H 0.195
47 H 0.234

***

3 unconnected molecules or ions with the total composition C14H29O9. Source: the Open Molecules 2025 dataset; level of theory: ωB97M-V/def2-TZVPD.

## Properties
Calculated total energy = -33412.0386 eV
HOMO level = -2.03 eV
Net charge = -1
Strongest force on any atom = 0.7 eV/Å

CARTESIAN COORDINATES (ANGSTROEM)
C (3.59, -3.71, -2.05)
C (2.59, -2.68, -2.57)
C (1.24, -2.84, -1.88)
O (0.17, -2.20, -2.52)
C (-0.01, -0.80, -2.17)
C (0.78, 0.19, -3.00)
C (1.65, 1.10, -2.25)
O (3.10, 0.67, -1.96)
O (3.28, 0.46, -0.52)
H (3.28, -4.73, -2.31)
H (4.59, -3.55, -2.45)
H (3.67, -3.66, -0.96)
H (2.97, -1.67, -2.40)
H (2.44, -2.77, -3.64)
H (0.98, -3.90, -1.82)
H (1.32, -2.47, -0.84)
H (0.24, -0.70, -1.10)
H (-1.10, -0.69, -2.23)
H (1.36, -0.37, -3.75)
H (1.25, 1.33, -1.25)
H (1.85, 2.07, -2.74)
H (3.79, -0.36, -0.53)
C (-3.08, -1.38, 4.77)
C (-1.82, -2.22, 4.80)
O (-1.10, -2.14, 3.57)
C (-0.33, -1.04, 3.43)
O (-0.19, -0.19, 4.28)
O (0.22, -1.06, 2.24)
C (1.08, 0.05, 1.94)
H (-3.69, -1.64, 3.91)
H (-3.66, -1.54, 5.68)
........

This year, as many of you will know, we cancelled our National Day events on the 10th September.

The death of Her Late Majesty left us with nothing to celebrate and everything to mourn.

You all know that the British Crown has no more loyal subjects than the Gibraltarians.

Our Royal Gibraltar Regiment proudly guarded the Sovereign and the Royal Palaces in March this year.

What better demonstration than that of our indisputably British Sovereignty.

Our people,

Our Regiment,

Guarding Our Sovereign.

We were therefore heart broken when the death of Her Late Majesty was announced.

Because as you may already have heard me say, but I will never tire of repeating,

**The entry is interrupted by data records**
┌──
# 1
Formula: C3H10N4O2S
Source: the Open Molecules 2025 dataset
Level of theory: the ωB97M-V functional and the def2-TZVPD basis

Geometry as XYZ:
```
20
Properties=species:S:1:pos:R:3:forces:R:3
C 1.249 1.712 0.869 1.1 0.7 0.9
C 0.201 2.694 -1.334 2.9 -0.7 -2.0
C -0.311 -2.140 0.297 0.9 0.8 0.7
H 1.210 0.801 1.395 -0.1 -1.6 0.3
H 0.598 2.304 1.513 0.3 0.8 -0.1
H 2.429 1.980 1.093 -3.0 -0.1 -1.7
H 1.019 3.596 -1.304 -1.7 -2.6 0.1
H 0.256 2.138 -2.436 -0.6 2.2 2.8
H -0.746 3.195 -1.081 0.1 -0.7 -0.1
H -0.032 -4.252 0.151 2.1 3.6 3.7
H 1.438 -2.998 1.284 -3.9 -1.2 -1.7
H -1.966 -2.805 1.193 0.6 0.5 -1.7
H -2.341 -1.402 0.201 2.4 -2.3 -0.1
N 0.642 1.508 -0.460 -0.6 0.0 0.3
N 0.431 -1.168 -0.268 -0.7 -1.4 2.2
N 0.306 -3.223 1.064 1.1 -1.4 -3.7
N -1.676 -2.272 0.325 -1.5 -0.1 1.8
O -0.624 0.091 -2.054 -0.7 0.6 -0.4
O -1.636 0.086 0.190 0.3 3.1 0.0
S -0.445 0.155 -0.637 1.2 -0.2 -1.3
```
Forces are in eV/Å.

Net charge: 0
Calculated total energy (Ha): -887.8207
ΔE to the lowest compared entry with this formula, charge and spin (kcal per mole): 119.30

***

# 2
Formula: C4H10N2O2
Source: the Open Molecules 2025 dataset
Level of theory: the ωB97M-V functional and the def2-TZVPD basis

Geometry as XYZ:
```
18
Properties=species:S:1:pos:R:3:forces:R:3
O 0.138 0.682 1.749 2.8 0.5 -1.5
C 1.190 0.383 0.915 -4.1 -2.3 4.1
N 2.657 0.658 -0.029 -2.2 2.3 1.5
C 1.786 1.675 0.393 2.6 1.7 -2.2
O -2.591 -1.608 -1.014 0.3 -0.6 -0.2
C 0.318 -0.585 -0.211 -1.4 -2.1 0.1
C -0.688 0.379 -0.987 0.8 0.7 -0.9
N -0.408 -1.504 0.597 0.5 2.2 1.4
H 1.726 -0.434 1.494 0.3 0.8 -1.2
H 1.096 2.159 -0.363 0.4 -0.9 0.7
H 2.029 2.436 1.197 0.1 -1.1 -0.5
H -3.436 -2.088 -0.969 0.4 0.3 0.5
H 1.087 -1.227 -0.697 -0.8 1.1 -0.9
H -0.073 0.738 -1.861 -0.9 0.1 0.7
H -1.582 -0.249 -1.326 1.3 0.2 0.4
H -1.213 1.210 -0.410 1.4 -1.0 -0.4
H -1.297 -1.657 0.103 -1.8 -1.7 -1.5
H -0.737 -0.968 1.421 0.3 -0.3 -0.3
```
Forces are in eV/Å.

Net charge: 0
Calculated total energy (Ha): -417.9288
ΔE to the lowest compared entry with this formula, charge and spin (kcal per mole): 333.95

***

| no. | frontier orbital gap (eV) | molar mass (g/mol) | E_HOMO (eV) |
| --- | --- | --- | --- |
| 1 | 9.36 | 166.2 | -9.384 |
| 2 | 4.21 | 118.1 | -8.612 |

----------

Entry one
This record from OMol25 describes the ion C5H8NS with charge +1. The level of theory is ωB97M-V with the def2-TZVPD basis set.

Summary:
**E_HOMO**: -13.5 eV
**Charge**: +1
**Orbital gap**: 8.67 eV

Geometry (Å):
H 1.3232 0.6139 2.0882
H -1.4755 0.3453 -1.9329
C -0.0470 0.1466 0.6762
N -0.3334 0.5051 -0.3836
C 0.0742 -0.7903 3.0993
H 0.3732 -0.6651 -3.1204
H 0.7438 1.0353 -3.5105
C 0.6233 0.3280 -2.7227
H -0.6771 1.9173 -1.8480
H 0.5205 -0.5333 4.0896
C 0.4768 -0.1006 1.9847
H -1.5147 -1.9167 2.0054
S -1.0819 -2.0930 3.3239
C -0.5960 0.8036 -1.6460
H 1.5907 0.4037 -2.1032
└──

We were her Rock - and she was ours.

And both those analogies extend far beyond the geological.

So today, as I see you for the first time since the pandemic and as we gather for the first time since we mourn Her, I want to end my address to you tonight reaffirming the entire, enduring and exclusive loyalty and commitment of the People and Government of Gibraltar to the British Crown.

We all wish and pray that our beloved Queen Elizabeth shall rest in Eternal Peace.

And I urge you all to raise your glasses and toast, my dear friends, the King of Gibraltar, Charles the III.

Long Live The King.